Work order.
Now give back everything underneath verbatim.

Data.
-- begin --
Compound: NbPd3
Source: the Materials Project database
Functional: GGA-PBE
Structure: optimized geometry

## Properties
The space-group type is No. 139. The calculation puts the calculated volume at 62.97 Å³/cell. The formation enthalpy at 0 K is -0.423 eV/atom. Its crystal system is tetragonal. Its raw total energy is -6.83 eV per atom.

Cell: 4.914 4.914 4.914 Å, 132.67 132.67 69.17°
Atoms (fractional coordinates):
Nb1 0.000 0.000 0.000
Pd1 0.250 0.750 0.500
Pd2 0.500 0.500 0.000
Pd3 0.750 0.250 0.500

----------

4
Lattice="0.000 3.097 3.097 3.097 0.000 3.097 3.097 3.097 0.000" Properties=species:S:1:pos:R:3 comment="r2SCAN TaAlOs2, optimized geometry" m_tot_mub_per_fu=0.00 formation_energy_ev_per_atom=-0.681 vol_a3_per_cell=59.4 final_energy_ev_per_atom=-41.0043 space_group=Fm-3m pbc="T T T"
Al 1.549 1.549 1.549
Ta 4.646 4.646 4.646
Os 3.097 3.097 3.097
Os 0.000 0.000 0.000

----------

1.
The following is a PBE+U calculation of an optimized crystal structure of Rb2MoS2O2, from the Materials Project.

Computed properties:
Its volume is 383.5 Å³/cell. As for the space-group type: C2/c, No. 15.

The structure in CIF format:
```
data_Rb2MoS2O2
_space_group_name_H-M_alt 'P 1'
_space_group_IT_number 1
_space_group_name_Hall 'P 1'
_cell_length_a 6.9734
_cell_length_b 6.9734
_cell_length_c 10.1899
_cell_angle_alpha 115.85
_cell_angle_beta 115.85
_cell_angle_gamma 64.62
loop_
_atom_site_label
_atom_site_fract_x
_atom_site_fract_y
_atom_site_fract_z
Rb1 0.1562 0.2649 0.3350
Rb2 0.2649 0.1562 0.8350
Rb3 0.7351 0.8438 0.1650
Rb4 0.8438 0.7351 0.6650
Mo1 0.4217 0.5783 0.2500
Mo2 0.5783 0.4217 0.7500
S1 0.2301 0.7401 0.0642
S2 0.2599 0.7699 0.4358
S3 0.7401 0.2301 0.5642
S4 0.7699 0.2599 0.9358
O1 0.2981 0.4109 0.6738
O2 0.4109 0.2981 0.1738
O3 0.5891 0.7019 0.8262
O4 0.7019 0.5891 0.3262
```

---

2.
The following is a PBE+U calculation of an optimized crystal structure of RbSbMoO6, from the Materials Project.

Computed properties:
Its volume is 284.0 Å³/cell. The value obtained for the maximum piezoelectric response is 2.4 C/m2. As for the space-group type: Ima2, No. 46.

The structure in CIF format:
```
data_RbSbMoO6
_space_group_name_H-M_alt 'P 1'
_space_group_IT_number 1
_space_group_name_Hall 'P 1'
_cell_length_a 7.3559
_cell_length_b 7.3559
_cell_length_c 7.3559
_cell_angle_alpha 120.84
_cell_angle_beta 91.20
_cell_angle_gamma 117.80
loop_
_atom_site_label
_atom_site_fract_x
_atom_site_fract_y
_atom_site_fract_z
Rb1 0.1382 0.2500 0.3882
Rb2 0.8618 0.7500 0.6118
Sb1 0.5384 0.0384 0.5000
Sb2 0.5384 0.5384 0.0000
Mo1 0.0168 0.5065 0.0103
Mo2 0.4963 0.0066 0.9897
O1 0.2183 0.7854 0.9329
O2 0.2203 0.4097 0.9348
O3 0.2203 0.7855 0.3106
O4 0.4617 0.2895 0.6722
O5 0.4749 0.2855 0.0652
O6 0.4749 0.9097 0.6894
O7 0.5991 0.1658 0.3092
O8 0.5991 0.7899 0.9333
O9 0.6173 0.7895 0.3278
O10 0.8525 0.2854 0.0671
O11 0.8566 0.2899 0.6908
O12 0.8566 0.6658 0.0667
```

---

What did we get for DFT total energy? Answer: -36.5; -56.7 eV/f.u., in the order shown.
What did we get for calculated formation energy? Answer: -1.59; -2.04 eV/atom, in the order shown.
-- stop --

Worked solution.
Compound: NbPd3
Source: the Materials Project database
Functional: GGA-PBE
Structure: optimized geometry

## Properties
The space-group type is No. 139. The calculation puts the calculated volume at 62.97 Å³/cell. The formation enthalpy at 0 K is -0.423 eV/atom. Its crystal system is tetragonal. Its raw total energy is -6.83 eV per atom.

Cell: 4.914 4.914 4.914 Å, 132.67 132.67 69.17°
Atoms (fractional coordinates):
Nb1 0.000 0.000 0.000
Pd1 0.250 0.750 0.500
Pd2 0.500 0.500 0.000
Pd3 0.750 0.250 0.500

----------

4
Lattice="0.000 3.097 3.097 3.097 0.000 3.097 3.097 3.097 0.000" Properties=species:S:1:pos:R:3 comment="r2SCAN TaAlOs2, optimized geometry" m_tot_mub_per_fu=0.00 formation_energy_ev_per_atom=-0.681 vol_a3_per_cell=59.4 final_energy_ev_per_atom=-41.0043 space_group=Fm-3m pbc="T T T"
Al 1.549 1.549 1.549
Ta 4.646 4.646 4.646
Os 3.097 3.097 3.097
Os 0.000 0.000 0.000

----------

1.
The following is a PBE+U calculation of an optimized crystal structure of Rb2MoS2O2, from the Materials Project.

Computed properties:
Its volume is 383.5 Å³/cell. As for the space-group type: C2/c, No. 15.

The structure in CIF format:
```
data_Rb2MoS2O2
_space_group_name_H-M_alt 'P 1'
_space_group_IT_number 1
_space_group_name_Hall 'P 1'
_cell_length_a 6.9734
_cell_length_b 6.9734
_cell_length_c 10.1899
_cell_angle_alpha 115.85
_cell_angle_beta 115.85
_cell_angle_gamma 64.62
loop_
_atom_site_label
_atom_site_fract_x
_atom_site_fract_y
_atom_site_fract_z
Rb1 0.1562 0.2649 0.3350
Rb2 0.2649 0.1562 0.8350
Rb3 0.7351 0.8438 0.1650
Rb4 0.8438 0.7351 0.6650
Mo1 0.4217 0.5783 0.2500
Mo2 0.5783 0.4217 0.7500
S1 0.2301 0.7401 0.0642
S2 0.2599 0.7699 0.4358
S3 0.7401 0.2301 0.5642
S4 0.7699 0.2599 0.9358
O1 0.2981 0.4109 0.6738
O2 0.4109 0.2981 0.1738
O3 0.5891 0.7019 0.8262
O4 0.7019 0.5891 0.3262
```

---

2.
The following is a PBE+U calculation of an optimized crystal structure of RbSbMoO6, from the Materials Project.

Computed properties:
Its volume is 284.0 Å³/cell. The value obtained for the maximum piezoelectric response is 2.4 C/m2. As for the space-group type: Ima2, No. 46.

The structure in CIF format:
```
data_RbSbMoO6
_space_group_name_H-M_alt 'P 1'
_space_group_IT_number 1
_space_group_name_Hall 'P 1'
_cell_length_a 7.3559
_cell_length_b 7.3559
_cell_length_c 7.3559
_cell_angle_alpha 120.84
_cell_angle_beta 91.20
_cell_angle_gamma 117.80
loop_
_atom_site_label
_atom_site_fract_x
_atom_site_fract_y
_atom_site_fract_z
Rb1 0.1382 0.2500 0.3882
Rb2 0.8618 0.7500 0.6118
Sb1 0.5384 0.0384 0.5000
Sb2 0.5384 0.5384 0.0000
Mo1 0.0168 0.5065 0.0103
Mo2 0.4963 0.0066 0.9897
O1 0.2183 0.7854 0.9329
O2 0.2203 0.4097 0.9348
O3 0.2203 0.7855 0.3106
O4 0.4617 0.2895 0.6722
O5 0.4749 0.2855 0.0652
O6 0.4749 0.9097 0.6894
O7 0.5991 0.1658 0.3092
O8 0.5991 0.7899 0.9333
O9 0.6173 0.7895 0.3278
O10 0.8525 0.2854 0.0671
O11 0.8566 0.2899 0.6908
O12 0.8566 0.6658 0.0667
```

---

What did we get for DFT total energy? Answer: -36.5; -56.7 eV/f.u., in the order shown.
What did we get for calculated formation energy? Answer: -1.59; -2.04 eV/atom, in the order shown.